This year, the Center for Advanced Studies in Southeastern Europe (CAS – SEE) invited eight Fellows from eight different countries. In below you can see our Fellows.
Marco Abram (Roma – Italy )
PhD in History at the University of Udine, Master in History of Europe at the University of Bologna. His research interests mainly focus on the national question in Yugoslavia and he dedicated his doctoral thesis to the analysis of Socialist Yugoslavism in Belgrade. In the last year he has worked as researcher at Osservatorio Balcani e Caucaso, involved in a project aimed at studying the Italian civil society activism during the Yugoslav wars in the 1990s. Between 2009 and 2014 he has been part of the editorial board of the online historical review “Diacronie. Studi di Storia contemporanea”.

Marcello Barison (Padova – Italy)
Marcello Barison received his BA and MA at the University of Padua. His thesis (MA dissertation), which then turned into his first book (La Costituzione metafisica del Mondo), concerns the concept of world in the contemporary German thought. From that work, also owing to an annual stay at the Humboldt Universität zu Berlin, he explored the twentieth century German philosophy more and more thoroughly, especially devoting his attention to the figure of Martin Heidegger, the thinker on which he then conducted also his doctoral dissertation. He completed his doctoral studies at the Istituto Italiano di Scienze Umane (SUM) in Naples in collaboration with the Albert-Ludwigs-Universität Freiburg. In addition to lectures and publications focusing on 20th century continental philosophy, he has written on contemporary art, literature and architecture.
Marco Bresciani (Trieste – Italy)
Marco Bresciani was educated at the Scuola Normale Superiore and at the University of Pisa, where he obtained his PhD. He was post-doc fellow at the Istituto per la Storia del Movimento di Liberazione Nazionale in Italia, at the Remarque Institute (NYU), at the Centre de Recherches Politiques R. Aron (EHESS). So far, his interests have focused on the global and European history of socialism, antifascism and anti-totalitarianism, with special regard to intellectual networks in Italy, France and US, from the 1930s to the 1970s. His current project deals with the transition from the imperial to the national sovereignty, the subsequent political, social and cultural crisis and conflicts and their persistent legacies in the former Oesterreiches Küstenland, annexed by Italy in 1918.

Tamara Caraus (Buchares – Romania)
Tamara Caraus is a Researcher at New Europe College, Bucharest, Romania. Her current area of research includes political theory of cosmopolitanism, dissidence, civil disobedience, global resistance, and agonistic/radical democracy. Tamara Caraus has undertaken research projects in political philosophy at Institut fur die Wissenschaften vom Menschen, Vienna, Austria; University of Uppsala, Sweden; University of Groningen, The Netherland; Oxford University, UK; Palacky University of Olomouc, Czech Republic and others. She contributed with articles to various academic journals and edited volumes, published Tzara mea (2001), Ethical Perspectives on the Postmodern Rewriting (2003), Traps of Identity (2011), and co-edited Cosmopolitanism and the Legacy of Dissent (Routledge, 2014).
Jan Muś (Lubi – Poland)
Jan Muś works as an adjunct at the Institute of East-Central Europe (IESW) and as a lecturer at the Catholic University of Lublin. His research interest concerns nationalism and ethnopolitics as well as the contemporary political and social developments in the Southeastern Europe. Jan’s project at the CAS SEE combines economic development and ethnopolitical claims in culturally plural societies of the Hapsburg and the Ottoman empires and in this sense it refers to the critical theory. It aims at further development of theoretical framework on ethnicity and nationalism by studying dependency between economic development and rise of nationalism. By referring to domestic and international economic features, such as dynamics of agro-, trade-, and economic cycles, cultural division of labour within the given society and subsequently existing socio-economic inequalities and their consequences, this project will cast new light on mechanisms and institutions of ethnopolitics.
Adriana Placani (Budapest – Hungary)
Adriana Placani completed her PhD in Political Theory at LUISS Guido Carli University of Rome. She has a Master’s Degree in Political Science (Political Theory) from Central European University in Budapest, and a Bachelor’s Degree in International Economic Relations from The Academy of Economic Studies in Bucharest. In 2011, she was a Visiting Scholar at Columbia University Law School in New York.
-- Attached: materials data --
Record 1
Computed, not measured: crystalline Ca2IrPtO6 at its relaxed geometry at the PBE-GGA level of DFT.

extended XYZ file:
```
10
Lattice="4.9624 -1.6037 0.0000 4.9624 1.6037 0.0000 -0.0284 0.0000 7.4142" Properties=species:S:1:pos:R:3 pbc="T T T"
Ca 2.4688 0.0000 1.8244
Ca 7.4275 0.0000 5.5897
Ir 4.9624 0.0000 0.0000
Pt 4.9482 0.0000 3.7071
O 1.2089 0.0000 7.0411
O 1.2691 0.0000 4.0389
O 4.1336 0.0000 5.5846
O 5.7628 0.0000 1.8295
O 8.6272 0.0000 3.3753
O 8.6875 0.0000 0.3731
```

* magnetization: 0.1000 μB per atom
* DFT formation energy: -2047 meV/atom
* E_tot: -6.50 eV per atom

***

Record 2
Computed, not measured: crystalline Ba4Sb2O9 at its relaxed geometry at the PBE-GGA level of DFT.

extended XYZ file:
```
30
Lattice="6.1041 0.0000 0.0000 -3.0520 5.2863 0.0000 0.0000 0.0000 17.0624" Properties=species:S:1:pos:R:3 pbc="T T T"
Ba 0.0000 0.0000 0.0000
Ba 0.0000 0.0000 4.2656
Ba 0.0000 0.0000 8.5312
Ba 0.0000 0.0000 12.7968
Ba 0.0000 3.5242 2.1916
Ba 0.0000 3.5242 6.3396
Ba 3.0520 1.7621 10.7228
Ba 3.0520 1.7621 14.8708
Sb 0.0000 3.5242 11.3130
Sb 0.0000 3.5242 14.2806
Sb 3.0520 1.7621 2.7818
Sb 3.0520 1.7621 5.7494
O -1.3457 2.7472 12.7968
O 0.0000 1.8094 10.4107
O 0.0000 1.8094 15.1829
O -1.4850 4.3816 10.4107
O -1.4850 4.3816 15.1829
O 1.5670 0.9047 1.8795
O 1.5670 0.9047 6.6517
O 1.3457 2.7472 12.7968
O 0.0000 5.0781 12.7968
O 3.0520 0.2082 4.2656
O 1.7063 2.5390 4.2656
O 1.4850 4.3816 10.4107
O 1.4850 4.3816 15.1829
O 4.5371 0.9047 1.8795
O 4.5371 0.9047 6.6517
O 3.0520 3.4769 1.8795
O 3.0520 3.4769 6.6517
O 4.3978 2.5390 4.2656
```

* DFT formation energy: -2649 meV/atom
* E_tot: -6.27 eV per atom

***

Record 3
Computed, not measured: crystalline DyNp3 at its relaxed geometry at the PBE-GGA level of DFT.

extended XYZ file:
```
4
Lattice="-2.2674 2.2674 4.5967 2.2674 -2.2674 4.5967 2.2674 2.2674 -4.5967" Properties=species:S:1:pos:R:3 pbc="T T T"
Dy 0.0000 0.0000 0.0000
Np 2.2674 0.0000 2.2983
Np 0.0000 0.0000 4.5967
Np 0.0000 2.2674 2.2983
```

* magnetization: 2.5857 μB per atom
* DFT formation energy: 693 meV/atom
* E_tot: -10.17 eV per atom

***

Record 4
Computed, not measured: crystalline Na9Sr2Nd9Ti20O60 at its relaxed geometry at the PBE-GGA level of DFT.

extended XYZ file:
```
100
Lattice="5.4868 0.0000 0.0000 0.0000 38.7883 0.0000 -0.0021 0.0000 5.5224" Properties=species:S:1:pos:R:3 pbc="T T T"
Na 0.0000 0.0000 0.0000
Na 5.4850 7.7812 0.0393
Na 5.4850 31.0071 0.0393
Na 2.7033 19.3942 2.8580
Na 2.7823 0.0000 2.7603
Na 2.8101 7.7639 2.7790
Na 2.8101 31.0244 2.7790
Na 5.4405 15.4969 5.3916
Na 5.4405 23.2915 5.3916
Sr 2.7372 11.5630 2.8164
Sr 2.7372 27.2253 2.8164
Nd 0.0423 11.5500 0.1276
Nd 0.0423 27.2383 0.1276
Nd 0.0560 3.8658 0.1669
Nd 0.0560 34.9226 0.1669
Nd 0.0592 19.3942 0.1854
Nd 2.7401 3.8635 2.9280
Nd 2.7401 34.9248 2.9280
Nd 2.7968 15.5555 2.5144
Nd 2.7968 23.2328 2.5144
Ti 5.4846 5.8864 2.8248
Ti 5.4846 32.9020 2.8248
Ti 0.0117 9.5682 2.8236
Ti 0.0117 29.2201 2.8236
Ti 2.7121 17.4698 5.4657

Mariagrazia Portera (Modena – Italy)
Mariagrazia Portera holds a PhD in Philosophy (Aesthetics) from the University of Florence. Her research interests lie in Aesthetics, History of Philosophy, Evolutionary Biology. She has published papers and book chapters on the evolutionary genesis of human aesthetic attitude, on the origin of the arts, on the epistemology and research methodology of Evolutionary Aesthetics. She has spent several research stays in European Universities, such as in Berlin, London, Vienna, Stuttgart, Freiburg i.B.
Aron Schuster ( Berlin, Germany)
Aaron Schuster received his BA from Amherst College (USA), where he specialized in legal theory, and MA and PhD in Philosophy from the Katholieke Universiteit Leuven (Belgium). His doctoral dissertation, The Trouble With Pleasure: Philosophy and Psychoanalysis, examined the concept of pleasure in the history of philosophy, concluding with Freud and Lacan. He was a researcher at the Jan van Eyck Academie in 2005-2006, and has taught at PARTS (Performing Arts Research Training Studios) in Brussels. He is a currently the theory instructor at the Sandberg Institute, Amsterdam. In addition to lectures and publications focusing on 20th century continental philosophy, he has written on contemporary art and culture for Cabinet, Metropolis M, Frieze, and others, and has collaborated as a writer with artists on a number of projects and performances.